by Danny Feldman

In the past ten years, there have been 30,000 railroad crossing collisions resulting in over 3,600 deaths—that’s about a death per day in the United States due to railroad crossing collisions. With high-speed rail travel expected to increase in coming years, the critical questions are—why do so many collisions occur, and how can you avoid being involved in a collision with a train.

Railroad crossing collisions occur for a variety of reasons— most of which are entirely preventable. As the railroad industry quickly points out, the number one cause of collisions is driver error. About ½ of all crossings have warning devices (flashing lights, gates etc.), yet many crashes are caused by motorists driving around gates and trying to “beat” the train across the tracks. Trains cannot change directions, and they cannot stop abruptly—a freight train traveling at 55 mph will take a mile to stop even if emergency brakes are engaged.

Inserted here: materials data:
- - -
1.
Below is a crystal of Si2RuPb relaxed with PBEsol, with properties calculated at the SCAN level.

Values from the calculation:
The value obtained for the formation energy without anion corrections is 0.739 eV per atom. Its space group is Cmmm, No. 65. The volume comes out at 67.0 Å³/cell.

Unit cell a=4.6806 b=4.6806 c=3.2557 alpha=90.00 beta=90.00 gamma=110.17
Last column: nearest neighbours and their distance in Å.
Fractional coordinates of all 4 atoms:
Si (0.0000, 0.5000, 0.0000)  2 Si 2.68, 4 Pb 2.85, 4 Ru 2.85
Si (0.5000, 0.0000, 0.0000)  2 Si 2.68, 4 Pb 2.85, 4 Ru 2.85
Ru (0.0000, 0.0000, 0.5000)  2 Pb 2.68, 8 Si 2.85
Pb (0.5000, 0.5000, 0.5000)  2 Ru 2.68, 8 Si 2.85



2.
Below is a crystal of ZrSb2S2 relaxed with PBEsol, with properties calculated at the SCAN level.

Values from the calculation:
The value obtained for the formation energy without anion corrections is 0.076 eV per atom. Its space group is P4/mbm, No. 127. The volume comes out at 223.6 Å³/cell.

Unit cell a=7.5541 b=7.5541 c=3.9178 alpha=90.00 beta=90.00 gamma=90.00
Last column: nearest neighbours and their distance in Å.
Fractional coordinates of all 10 atoms:
Zr (0.0000, 0.0000, 0.0000)  4 Sb 2.93
Zr (0.5000, 0.5000, 0.0000)  4 Sb 2.93
Sb (0.1383, 0.3617, 0.0000)  2 S 2.68, 2 Zr 2.93, 1 Sb 2.95
Sb (0.3617, 0.8617, 0.0000)  2 S 2.68, 2 Zr 2.93, 1 Sb 2.95
Sb (0.6383, 0.1383, 0.0000)  2 S 2.68, 2 Zr 2.93, 1 Sb 2.95
Sb (0.8617, 0.6383, 0.0000)  2 S 2.68, 2 Zr 2.93, 1 Sb 2.95
S (0.1902, 0.6902, 0.5000)  2 Sb 2.68
S (0.3098, 0.1902, 0.5000)  2 Sb 2.68
S (0.6902, 0.8098, 0.5000)  2 Sb 2.68
S (0.8098, 0.3098, 0.5000)  2 Sb 2.68



| no. | uncorrected energy (eV per atom) | spin magnetization (μB per atom) | ρ (g cm⁻³) |
| --- | --- | --- | --- |
| 1 | -31.92 | 0.000 | 9.04 |
| 2 | -24.82 | 0.000 | 5.93 |
- - -

Of course, there are other causes for crossing collisions— sometimes warning devices are defective; the area around the crossing may not be properly maintained—resulting in trees and foliage obstructing or hiding the oncoming train from being seen; similarly, trains are sometimes improperly parked, which again may hide from view an oncoming train; trains sometimes speed (yes, there are speed limits which govern how fast trains can go in different areas of the track); trains sometimes fail to sound their whistle near crossings. So, the fact is that there are many reasons for these collisions.

'''
A plane-wave DFT calculation with PBE was carried out for an optimized crystal structure of CsRb2Br2.

Lattice parameters (Å, degrees): 9.7632 9.7632 5.0494 90.00 90.00 90.00
Last column: nearest neighbours and their distance in Å.
Space group P4/mbm (No. 127)
Symmetry-distinct sites (fractional):
1 Cs 0.0000 0.0000 0.0000  4 Br 3.69
2 Rb 0.1495 0.3505 0.5000  6 Br 3.70-3.90, 1 Rb 4.13
3 Br 0.1546 0.6546 0.0000  2 Cs 3.69, 6 Rb 3.70-3.90

Crystal system   tetragonal
E above lowest polymorph   33 meV/atom
ρ   3.199 g/cm³
DOS(E_F)   2.3 states/eV per cell
Raw total energy   -0.1837 Ry per atom
Formation energy (no corrections)   -1.273 eV per atom

---

A plane-wave DFT calculation with PBE was carried out for an optimized crystal structure of Mg6CuPt.

Lattice parameters (Å, degrees): 6.0612 10.2371 6.0653 90.00 113.53 90.00
Last column: nearest neighbours and their distance in Å.
Space group C2/m (No. 12)
Symmetry-distinct sites (fractional):
1 Mg 0.2480 0.0000 0.2513  1 Cu 2.52, 1 Pt 2.55
2 Mg 0.2478 0.1952 0.7481  1 Cu 2.59, 1 Pt 2.61
3 Cu 0.0000 0.0000 0.5000  6 Mg 2.52-2.59
4 Pt 0.0000 0.5000 0.0000  6 Mg 2.55-2.61

Energy of formation   -0.101 eV per atom
Crystal system   monoclinic
ρ   3.893 g/cm³
DOS(E_F)   6.5 states/eV per cell
Raw total energy   -0.1884 Ry per atom

---

A plane-wave DFT calculation with PBE was carried out for an optimized crystal structure of In3NiAs.

Lattice parameters (Å, degrees): 4.9421 4.9421 4.9421 90.00 90.00 90.00
Last column: nearest neighbours and their distance in Å.
Space group Pm-3m (No. 221)
Symmetry-distinct sites (fractional):
1 In 0.0000 0.0000 0.5000  2 Ni 2.47
2 Ni 0.0000 0.0000 0.0000  6 In 2.47
3 As 0.5000 0.5000 0.5000  12 In 3.49

Energy of formation   0.150 eV per atom
Crystal system   cubic
E above lowest polymorph   0 meV/atom
ρ   6.577 g/cm³
DOS(E_F)   4.3 states/eV per cell
Raw total energy   -0.2631 Ry per atom

---

A plane-wave DFT calculation with PBE was carried out for an optimized crystal structure of Sc4PdRu3.

Lattice parameters (Å, degrees): 4.5660 4.5660 6.4549 90.00 90.00 90.00
Last column: nearest neighbours and their distance in Å.
Space group P4/mmm (No. 123)
Symmetry-distinct sites (fractional):
1 Sc 0.0000 0.5000 0.2425  6 Ru 2.77-2.82, 2 Pd 2.82
2 Pd 0.0000 0.0000 0.5000  8 Sc 2.82
3 Ru 0.0000 0.0000 0.0000  8 Sc 2.77
4 Ru 0.5000 0.5000 0.0000  8 Sc 2.77
5 Ru 0.5000 0.5000 0.5000  8 Sc 2.82

Energy of formation   -0.687 eV per atom
Crystal system   tetragonal
ρ   7.273 g/cm³
DOS(E_F)   4.6 states/eV per cell
Raw total energy   -0.5865 Ry per atom

---

A plane-wave DFT calculation with PBE was carried out for an optimized crystal structure of Rb2CeBr2F4.

Lattice parameters (Å, degrees): 7.1981 7.1981 9.7553 90.00 90.00 90.00
Last column: nearest neighbours and their distance in Å.
Space group I4/mmm (No. 139)
Symmetry-distinct sites (fractional):
1 Rb 0.0000 0.5000 0.2500  8 F 3.55, 4 Br 3.62
2 Ce 0.0000 0.0000 0.0000  4 F 2.13
3 Br 0.0000 0.0000 0.2918  1 Ce 2.85
'''

What can you do to avoid colliding with a train—well, some things are pretty obvious—like, don’t go around gates which have been lowered; never try to “beat” a train across the tracks. Always stop or slow to a safe speed and look both ways before crossing a track. Look both ways and expect trains to approach from both directions. Once you start across the tracks, do not stop – keep going. Remember that trains may overhang the track by 3 feet on each side, so don’t stop too close to the track. If your car stalls on the track, abandon the car and leave the area—obviously call 911 to report the emergency, but don’t hang around inside your car on a railroad track.


According to Operation Lifesaver, a national non-profit education and awareness program dedicated to preventing these terrible collisions, 50% of vehicle/train collisions occur at crossings with active safety devices (gates, lights and bells) and 75% of these collisions occur with 25 miles of one’s home. The bottom line is that people, whether they are pedestrians or in a car or bus, by exercising good judgment and common sense, can do much to ensure their safety when crossing railroad tracks.